Accelerate Estonia 2021 — Solving Wicked Problems

Misplaced calculated crystals:
No. 1
KLi3P: relaxed, PBE.

a = 4.9019 Å, b = 4.9019 Å, c = 4.9019 Å
α = 90.00°, β = 90.00°, γ = 90.00°
Fractional positions:
K1 0.0000 0.0000 0.0000
Li1 0.0000 0.5000 0.5000
Li2 0.5000 0.0000 0.5000
Li3 0.5000 0.5000 0.0000
P1 0.5000 0.5000 0.5000

Summary:
distance to the lowest polymorph of the same formula: 0.0 meV per atom
symmetry: Pm-3m, No. 221

No. 2
HoZr2Nb: relaxed, PBE.

a = 11.0992 Å, b = 11.0992 Å, c = 11.0992 Å
α = 16.54°, β = 16.54°, γ = 16.54°
Fractional positions:
Ho1 0.0000 0.0000 0.0000
Zr1 0.0951 0.0951 0.0951
Zr2 0.9049 0.9049 0.9049
Nb1 0.5000 0.5000 0.5000

Summary:
distance to the lowest polymorph of the same formula: 240.0 meV per atom
symmetry: R-3m, No. 166

Number 1: mass density 1.3 g/cm3, raw total energy -2.792 eV per atom, ΔE_f -342.1 meV/atom. Number 2: mass density 7.6 g/cm3, raw total energy -7.604 eV per atom, ΔE_f 332.3 meV/atom.

----------

VASP calculation (GGA-PBE) on AcHgO2 after structural relaxation.

Values from the calculation:
Electronic total energy (eV/atom): -5.546
Raw formation energy (meV per atom): -1963.9
Spin magnetization (μB/f.u.): 0.0
SG: R-3m, No. 166

Unit cell a=3.9550 b=3.9550 c=7.2442 alpha=74.16 beta=74.16 gamma=60.00
Atoms (fractional coordinates):
Hg 0.0000 0.0000 0.0000
Ac 0.5000 0.5000 0.5000
O 0.1133 0.1133 0.6602
O 0.8867 0.8867 0.3398

---

VASP calculation (GGA-PBE) on BPRuO2 after structural relaxation.

Values from the calculation:
Electronic total energy (eV/atom): -6.352
Raw formation energy (meV per atom): -95.6
Spin magnetization (μB/f.u.): 0.0
SG: P4/mmm, No. 123

Unit cell a=3.1355 b=3.1355 c=7.5602 alpha=90.00 beta=90.00 gamma=90.00
Atoms (fractional coordinates):
O 0.5000 0.0000 0.0000
O 0.0000 0.5000 0.0000
Ru 0.5000 0.5000 0.5000
P 0.0000 0.0000 0.5000
B 0.0000 0.0000 0.0000

---

VASP calculation (GGA-PBE) on Tm4Os after structural relaxation.

Values from the calculation:
Electronic total energy (eV/atom): -5.807
Spin magnetization (μB/f.u.): 0.0
SG: Pm-3m, No. 221
Energy relative to the elements (eV per formula unit): 0.08

Unit cell a=5.3420 b=5.3420 c=5.3420 alpha=90.00 beta=90.00 gamma=90.00
Atoms (fractional coordinates):
Tm 0.5000 0.0000 0.5000
Tm 0.0000 0.0000 0.0000
Tm 0.0000 0.5000 0.5000
Tm 0.5000 0.5000 0.0000
Os 0.5000 0.5000 0.5000

---

| no. | ΔE to the lowest computed polymorph (meV/atom) |
| --- | --- |
| 1 | 96 |
| 2 | 0 |
| 3 | 195 |

Mars Robertson
Island DAO
Published in
5 min readJun 10, 2021
“ReGen Villages is a new visionary model for the development of off-grid, integrated and resilient eco-villages that can power and feed self-reliant families around the world.”
2m46s pitch: and slides:

UPDATE: why support from Estonia?

Make it possible to build, make it possible to experiment.

In the UK it is very difficult to build new homes.

You hear about new homes during the election campaign (to capture young voters) but the reality is that the law is designed to preserve the status quo.

Section 106 — Planning obligation — — makes it pretty costly to build new homes

In a nutshell, if you are a developer and want to build new homes, you need to also build a road, parking, park, school as well.

In our project, our intention is to become fully off-the-grid self-sufficient and there is no dependency on government services, other than the military but we hope we remain in peace.

(and build prosperous future)

Below is copy-paste from the form

Your Moonshot Idea

What is your inspiring Moonshot vision in one sentence? (Please complete the form in English. There is space at the end of the form to add more context, links etc. so you can focus us on the key elements/highlights at the start.)

Independent food + water + energy that makes housing resilient to climate change and related global instability.

What will the world look like if your moonshot succeeds?

In brief, describe what the specific change will be (is it novel; audacious; does it need socio-economic transformation?) and why that change will make the world a better place.

World of abundance. Independent food + water + energy makes it possible to live anywhere, no need to migrate.

It is effectively solving the refugee crisis as well as housing affordability crisis.

Public Sector Role

Accelerate Estonia offers unique access to decision makers in the Estonian Government and public sector. Knowing there is a specific and relevant role for the Estonian public sector is essential for us to understand whether this is the right program for your project. What public sector support needed to run the experiments or make the solution possible? e.g. do public sector processes need to change; or policies, regulations, market conditions? Or do you need a sandbox environment to run experiments that would not normally be allowed?

The existing building code allows tiny homes up to 20 square meters and 5 meters tall. We would like to seek permission for an experimental village with scalable off-the-grid infrastructure.

This is because some of the facilities make sense only with the economy of the scale.

In other words, it is possible to have individual house fully off-the-grid but the cost per unit will be lower in a village arrangement.

Market Creation

Scaling impact by creating a market for other business should be at the core of your project with aE. What is your idea for creating a market and how will your business growth increase the market opportunity for other businesses?

Once the technology is developed, the excess capacity of independent homes can be utilized on platforms like AirBnb. US military rather than bombing countries can deploy manufacturing bases that will 3D print these homes at a scale in the affected regions.


In brief, what is the problem you are solving and who has it?

Reliance on supply chain with food. Reliance on the energy grid. Reliance on water reservoirs.

There was that ship stuck in Suez Canal. There could be any number of reasons why the food is not delivered, we need to plan accordingly.

Why is this problem “wicked”?

In brief, why is the problem particularly complex? Why hasn’t it been solved already and why is it urgent in Estonia now?

It is the intersection of many problems and many technologies. Estonia offers an abundance of natural resources: sea, woodland, water reserves. Citizens should

What is your solution?

In one sentence, what is your idea for solving this problem?

Independent food + water + energy.

Why is your solution a moonshot?

How is your solution audacious and game changing?

Because it solves one of the most pressing problems facing humanity at a global scale.

Progress / Status

**What comes next are data records, not part of the entry:**
- - -
1.
{
  "formula": "ZnCd2OsO",
  "functional": "PBE-GGA",
  "state": "optimized geometry",
  "lattice_angstrom": [[5.435, 0.000, 0.000], [0.000, 3.706, 0.000], [0.000, 0.000, 5.435]],
  "species": ["Zn", "Os", "O", "Cd", "Cd"],
  "frac_coords": [[0.500, 0.500, 0.500], [0.000, 0.000, 0.000], [0.000, 0.500, 0.000], [0.000, 0.000, 0.500], [0.500, 0.000, 0.000]],
  "m_tot_mub_per_atom": 0.00,
  "total_energy_ev_per_cell": -18.8,
  "raw_formation_energy_mev_per_atom": 102.5
}



2.
{
  "formula": "ZnCd2OsO6",
  "functional": "PBE-GGA",
  "state": "optimized geometry",
  "lattice_angstrom": [[5.455, 0.000, -0.022], [0.000, 5.539, 0.000], [0.017, 0.000, 7.895]],
  "species": ["Zn", "Zn", "Cd", "Cd", "Cd", "Cd", "Os", "Os", "O", "O", "O", "O", "O", "O", "O", "O", "O", "O", "O", "O"],
  "frac_coords": [[0.500, 0.000, 0.000], [0.000, 0.500, 0.500], [0.009, 0.955, 0.252], [0.509, 0.545, 0.752], [0.991, 0.045, 0.748], [0.491, 0.455, 0.248], [0.500, 0.000, 0.500], [0.000, 0.500, 0.000], [0.292, 0.688, 0.049], [0.792, 0.812, 0.549], [0.708, 0.312, 0.951], [0.208, 0.188, 0.451], [0.319, 0.710, 0.440], [0.819, 0.790, 0.940], [0.681, 0.290, 0.560], [0.181, 0.210, 0.060], [0.897, 0.545, 0.236], [0.397, 0.955, 0.736], [0.103, 0.455, 0.764], [0.603, 0.045, 0.264]],
  "m_tot_mub_per_atom": 0.20,
  "total_energy_ev_per_cell": -108.7,
  "raw_formation_energy_mev_per_atom": -1026.3
}



3.
{
  "formula": "CdP3O",
  "functional": "PBE-GGA",
  "state": "optimized geometry",
  "lattice_angstrom": [[4.283, 0.000, 0.000], [0.000, 4.283, 0.000], [0.000, 0.000, 4.283]],
  "species": ["P", "P", "P", "O", "Cd"],
  "frac_coords": [[0.000, 0.500, 0.000], [0.000, 0.000, 0.500], [0.500, 0.000, 0.000], [0.000, 0.000, 0.000], [0.500, 0.500, 0.500]],
  "m_tot_mub_per_atom": 0.00,
  "total_energy_ev_per_cell": -19.2,
  "raw_formation_energy_mev_per_atom": 582.3
}



4.
{
  "formula": "Cd3P2O8",
  "functional": "PBE-GGA",
  "state": "optimized geometry",
  "lattice_angstrom": [[-4.676, 3.875, 4.854], [-6.964, 0.145, -6.824], [-1.341, -8.137, 5.203]],
  "species": ["Cd", "Cd", "Cd", "Cd", "Cd", "Cd", "Cd", "Cd", "Cd", "Cd", "Cd", "Cd", "P", "P", "P", "P", "P", "P", "P", "P", "O", "O", "O", "O", "O", "O", "O", "O", "O", "O", "O", "O", "O", "O", "O", "O", "O", "O", "O", "O", "O", "O", "O", "O", "O", "O", "O", "O", "O", "O", "O", "O"],
- - -

What is the current status of your idea, has been achieved so far and what are your next steps?

Various pieces of technology exist independently but currently, there is no single package that would connect independent food + water + energy


What is the potential massive/game changing impact if successful (in numbers if possible)?

It changes the geopolitical status of the entire planet. It makes it possible to live anywhere.

Business Model

If successful, aE projects should launch from the program with scalable business models. What is your project’s most likely scalable business model?

Just. Build. More. Homes. Cost of housing in the cities is not affordable for many young people. If we enable technology that allows living independently, chances are people will choose that way. Building more homes is a very scalable business model.

Key Experiments

What are the key experiments needed to validate the solution? i.e. what to you need to test in Estonia to prove the solution is viable and has the potential to have massive impact?

Connecting various pieces of technology and experimenting with how they work together at a scale.

Economic Opportunity

aE’s remit is to turn wicked problems into economic opportunities for Estonia. How might the solution create economic returns for Estonia?

Attracting intellectual capital to Estonia. Making society more resilient to consequences of the climate change.


Describe your personal connection to the field, including business experience or experience in the public sector or academy. Are there any other contributors to your team — what is their role? Which skills would you need to add to your team?

Mars Robertson: entrepreneur:
Joanna Picetti: businesswoman, politician:
Julien Carbonnell: Smart-City and Civic-Tech, PhD in urban science:
Letty: XPRIZE Visioneering
Dan: already based in Estonia, blockchain entrepreneur

Supporting Information

We’ve asked for short responses above so you can focus us on the most important and urgent issues and opportunities. Please use this space to any supporting information and links you think are valuable.

Similar ideas:

Key terms: “regenerative village” and “smart village”


Do you have any questions for the Accelerate Estonia team?

Are you aware of all the geopolitical factors related to climate change? (food, water, energy security)

Will you consider allowing to use some of the lands that belong to the Republic of Estonia?

Please offer us honest feedback, we will continue to work on BaseX (independent food water energy) and we are hoping that Estonia will welcome our efforts.

Food + water + energy are essential for humanity.



Mars Robertson
Island DAO

Creative force multiplier. Effective altruism, exponential technologies. Rational game theory incentives.